Tuesday, May 14, 2019

Materials data, kept here for reference:
/*
(1)
Simulated powder diffraction line list
Compound: Li2Mn3CoO8
Radiation: CuKα
Structure: the PBE+U geometry in the Materials Project
Lines closer than 0.1° are merged.

Main lines, in order of rising 2θ (10 to 80 degrees two-theta):
| index | Position (°2θ) | I (rel.) |
| --- | --- | --- |
| 1 1 1 | 18.4 | 100 |
| 3 1 1 | 35.7 | 47 |
| 2 2 2 | 37.3 | 11 |
| 4 0 0 | 43.3 | 54 |
| 3 3 1 | 47.4 | 10 |
| 5 1 1 | 57.3 | 20 |
| 4 4 0 | 63.0 | 31 |
| 5 3 1 | 66.2 | 14 |
| 6 2 2 | 75.5 | 7 |
| 4 4 4 | 79.5 | 8 |

Cell and atoms:
Cell: 8.3522 8.3522 8.3522 Å, 90.00 90.00 90.00°
Space group P4_332 (No. 212)
Inequivalent atoms, fractional coordinates:
Li1 0.0046 0.0046 0.0046 (multiplicity 8)
Mn1 0.1196 0.1304 0.6250 (multiplicity 12)
Co1 0.1250 0.8750 0.3750 (multiplicity 4)
O1 0.0991 0.1260 0.3936 (multiplicity 24)
O2 0.1156 0.6156 0.8844 (multiplicity 8)

=====

(2)
Simulated powder diffraction line list
Compound: Li3Mn3CoO8
Radiation: CuKα
Structure: the PBE+U geometry in the Materials Project
Lines closer than 0.1° are merged.

Main lines, in order of rising 2θ (10 to 80 degrees two-theta):
| index | Position (°2θ) | I (rel.) |
| --- | --- | --- |
| 0 0 2 | 18.6 | 100 |
| 1 1 -1 | 19.7 | 56 |
| 1 1 1 | 19.8 | 68 |
| 0 2 1 | 20.0 | 55 |
| 0 2 2 | 25.7 | 47 |
| 0 2 3 | 33.3 | 50 |
| 1 3 -2 | 36.0 | 52 |
| 2 2 3 | 45.9 | 44 |
| 0 4 5 | 60.9 | 57 |
| 2 6 0 | 63.9 | 54 |

Cell and atoms:
Cell: 5.9056 10.0551 9.5451 Å, 90.00 90.67 90.00°
Space group Cc (No. 9)
Inequivalent atoms, fractional coordinates:
Li1 0.0000 0.0877 0.0000 (multiplicity 4)
Li2 0.0236 0.4100 0.5004 (multiplicity 4)
Li3 0.2560 0.1733 0.4998 (multiplicity 4)
Mn1 0.0131 0.0840 0.7284 (multiplicity 4)
Mn2 0.0163 0.4158 0.2286 (multiplicity 4)
Mn3 0.2649 0.1667 0.2292 (multiplicity 4)
Co1 0.2684 0.3310 0.9461 (multiplicity 4)
O1 0.0035 0.4191 0.8420 (multiplicity 4)
O2 0.0362 0.0801 0.3442 (multiplicity 4)
O3 0.0381 0.2562 0.1079 (multiplicity 4)
O4 0.2411 0.3252 0.3479 (multiplicity 4)
O5 0.2611 0.4833 0.1084 (multiplicity 4)
O6 0.2703 0.1551 0.8399 (multiplicity 4)
O7 0.2892 0.0071 0.1152 (multiplicity 4)
O8 0.4868 0.2562 0.1111 (multiplicity 4)

=====

(3)
Simulated powder diffraction line list
Compound: Li5MnCo2O8
Radiation: CuKα
Structure: the PBE+U geometry in the Materials Project
Lines closer than 0.1° are merged.

Main lines, in order of rising 2θ (10 to 80 degrees two-theta):
| index | Position (°2θ) | I (rel.) |
| --- | --- | --- |
| 1 0 0 | 17.8 | 14 |
| 1 0 -1 | 18.4 | 13 |
| 0 0 2 | 18.7 | 100 |
| 1 0 -2 | 23.2 | 9 |
| 1 1 -1 | 36.1 | 40 |
| 1 1 -3 | 43.7 | 64 |
| 2 0 2 | 44.3 | 30 |
| 1 1 -5 | 57.9 | 10 |
| 3 1 -1 | 63.6 | 16 |
| 1 1 5 | 64.4 | 16 |

Cell and atoms:
Cell: 5.0788 2.9102 9.6807 Å, 90.00 101.35 90.00°
Space group P2/m (No. 10)
Inequivalent atoms, fractional coordinates:
Li1 0.0000 0.0000 0.0000 (multiplicity 1)
Li2 0.2382 0.5000 0.2415 (multiplicity 2)
Li3 0.2476 0.0000 0.7599 (multiplicity 2)
Mn1 0.5000 0.0000 0.5000 (multiplicity 1)
*/
The materials data stop here:
Energy Storage Faculty Consortium Project - Germany Day 11 Village of Wildpoldsreid and Sonnen GmbH

Today we made our way to the energy village of Wildpoldsreid, where we met with the Deputy Mayor, Gunter Mogetel. Wildpoldsried has a population of approximately 2,600 and is considered a European champion for energy as it produces more than 550% of energy than the village consumes. This village is supported entirely by renewable energy souses that is made-up of bio-fuels, hydro, wind, PV, and by using local resources.They are able to manage this all by using a smart grid and battery system and sell back the unused energy to the local utility. While visiting Wildpoldsreid they provided us with an overview of the Sonnen Battery company, our next stop and a local company in the town.
-- begin --
No. 1
Theoretical XRD peak list of Mg2GaB2Ir5 for a wavelength of 1.5418 Å, from a GGA-PBE-relaxed structure.

Peak list (10 most intense, 10 to 90 degrees two-theta, by angle)
2θ = 20.92°, intensity 52, hkl 2 1 0; 2θ = 29.76°, intensity 43, hkl 3 1 0; 2θ = 30.39°, intensity 87, hkl 0 0 1; 2θ = 34.05°, intensity 57, hkl 3 2 0; 2θ = 39.12°, intensity 78, hkl 4 1 0; 2θ = 42.59°, intensity 55, hkl 4 2 0; 2θ = 43.05°, intensity 100, hkl 3 1 1; 2θ = 46.28°, intensity 58, hkl 3 2 1; 2θ = 50.33°, intensity 54, hkl 4 1 1; 2θ = 78.28°, intensity 51, hkl 7 1 1

Atomic structure:
Cell: 9.4938 9.4938 2.9411 Å, 90.00 90.00 90.00°
Space group P4/mbm (No. 127)
Unique sites:
Mg (0.1751, 0.3249, 0.0000) (multiplicity 4)
Ga (0.0000, 0.0000, 0.0000) (multiplicity 2)
B (0.1269, 0.6269, 0.0000) (multiplicity 4)
Ir (0.0000, 0.5000, 0.5000) (multiplicity 2)
Ir (0.0719, 0.7852, 0.5000) (multiplicity 8)



No. 2
Theoretical XRD peak list of LaTaO4 for a wavelength of 1.5418 Å, from a GGA-PBE-relaxed structure.

Peak list (10 most intense, 10 to 90 degrees two-theta, by angle)
2θ = 23.16°, intensity 23, hkl 1 1 0; 2θ = 28.06°, intensity 100, hkl 1 1 1; 2θ = 28.56°, intensity 94, hkl 0 4 1; 2θ = 31.57°, intensity 35, hkl 0 0 2; 2θ = 32.85°, intensity 29, hkl 1 3 1; 2θ = 37.59°, intensity 24, hkl 1 5 0; 2θ = 43.19°, intensity 20, hkl 1 3 2; 2θ = 45.67°, intensity 23, hkl 2 0 0; 2θ = 49.88°, intensity 33, hkl 1 5 2; 2θ = 54.75°, intensity 30, hkl 2 4 1

Atomic structure:
Cell: 3.9733 14.9878 5.6681 Å, 90.00 90.00 90.00°
Space group Cmc2_1 (No. 36)
Unique sites:
La (0.0000, 0.1755, 0.0000) (multiplicity 4)
Ta (0.0000, 0.4154, 0.0489) (multiplicity 4)
O (0.0000, 0.0885, 0.5839) (multiplicity 4)
O (0.0000, 0.3014, 0.2580) (multiplicity 4)
O (0.0000, 0.3364, 0.7809) (multiplicity 4)
O (0.0000, 0.4713, 0.3882) (multiplicity 4)



No. 3
Theoretical XRD peak list of NdZnAsO for a wavelength of 1.5418 Å, from a GGA-PBE-relaxed structure.

Peak list (10 most intense, 10 to 90 degrees two-theta, by angle)
2θ = 29.44°, intensity 100, hkl 1 0 2; 2θ = 31.11°, intensity 17, hkl 1 1 0; 2θ = 32.66°, intensity 24, hkl 1 1 1; 2θ = 36.96°, intensity 38, hkl 1 1 2; 2θ = 44.57°, intensity 34, hkl 2 0 0; 2θ = 51.17°, intensity 32, hkl 1 1 4; 2θ = 54.32°, intensity 37, hkl 2 1 2; 2θ = 64.86°, intensity 11, hkl 2 2 0; 2θ = 87.03°, intensity 13, hkl 3 1 4; 2θ = 89.54°, intensity 9, hkl 3 2 2

Atomic structure:
Cell: 4.0661 4.0661 9.1099 Å, 90.00 90.00 90.00°
Space group P4/nmm (No. 129, origin choice 2)
Unique sites:
Nd (0.2500, 0.2500, 0.1295) (multiplicity 2)
Zn (0.2500, 0.7500, 0.5000) (multiplicity 2)
As (0.2500, 0.2500, 0.6752) (multiplicity 2)
O (0.2500, 0.7500, 0.0000) (multiplicity 2)



No. 4
Theoretical XRD peak list of MgAl2O4 for a wavelength of 1.5418 Å, from a GGA-PBE-relaxed structure.

Peak list (10 most intense, 10 to 90 degrees two-theta, by angle)
-- stop --
CREATE’s PI, Dr. Ken Walz, had previously talked to Sonnen representatives in the U.S. and it was with great anticipation that the CREATE group visited the headquarters of Sonnen in Wildpolssreid. Sonnen has grown to be a global leader in battery storage in a short nine years since its founding in 2010. It produces home energy storage systems for private residences and small businesses. Its batteries are based on lithium ion technology and can last up to 40 years. The visit started with a meeting to discuss Sonnen’s history and future directions. We learned through discussions that Sonnen has already installed over 40,000 storage batteries worldwide and is expanding throughout Europe, in the U.S. and in Australia. One interesting feature is that Sonnen is the operator of the world’s largest virtual battery. Called the Sonnen Community, the system is decentralized, clean, and networked. The company sees this as an area of future growth. The company also has an innovative program called the Sonnen Ambassadors. These Sonnen Ambassadors have Sonnen battery systems installed in their houses and they allow Sonnen sales people to recommend them as visit sites so that potential customers can view the systems in place and in use. Not only did our group of teachers get a thorough discussion of Sonnen and its products but the enthusiastic staff showed the group the battery systems at each stage of the production process, from assembly, quality control and performance testing. Many of our group felt this site visit was the highlight of the entire learning exchange on energy storage and hope that the recent acquisition of Sonnen by Shell does not slow their momentum or enthusiasm. We are all very grateful for all the time that Sonnen personnel took to answer our questions.
